General terms and conditions of MARBURGER GRUND Service GmbH

§ 1. Validity Area

1. These terms and conditions apply to contracts for the rental of rooms and serviced apartments as well as all other services provided to the guest by MARBURGER GRUND Service GmbH (“MGS”) as the operator of the Elisabeth Apartments and the Elisabeth Bräu.
2. The subletting of the provided apartments or rooms and their use for other purposes than accommodation require the prior consent of the accommodation provider, whereby Section 540 Paragraph 1 Sentence 2 BGB is waived. The same applies to the use of the apartment by people/visitors exceeding the contractually agreed number of guests.
3. The customer’s and/or guest’s terms and conditions only apply if this has been explicitly agreed in writing in advance.
Our data protection declaration, which can be viewed on our website at, is part of our general terms and conditions.

§ 2. Conclusion of a contract, contractual partner, statute of limitations

1. The accommodation contract is concluded when MGS accepts the customer’s application. MGS is free to confirm the apartment or room booking in writing.
2. The contractual partners are MGS and the customer. If a third party has ordered for the customer, he or she is jointly and severally liable to MGS together with the guest for all obligations arising from the accommodation contract. It provided that MGS has received a corresponding declaration from the third person. The third person then becomes the contractual partner.
3. All claims against MGS generally expire one year from the start of the knowledge-dependent regular limitation period of Section 199 Paragraph 1 of the German Civil Code (BGB). Claims for damages expire in five years, regardless of knowledge. The shortened statute of limitations does not apply to claims based on an intentional or grossly negligent breach of duty or on justified withdrawal by MGS.

§ 3. Services, prices, payment, offsetting

1. MGS is obliged to keep the rooms or apartments booked by the customer or equivalent accomodations available and to provide the agreed services.
2. The customer is obliged to pay the MGS prices applicable or agreed for the room or apartment rental and the other services used by him. This also applies to MGS’s services and expenses to third parties initiated by the guest.
3. The agreed prices include the applicable statutory VAT. If a net price plus sales tax is explicitly agreed with an entrepreneur, the gross price is calculated from the contractual net price plus the sales tax applicable at the time of service. If the period between conclusion of the contract and fulfillment of the contract exceeds four months and the price generally charged by MGS for such services increases, MGS may increase the contractually agreed price appropriately, but by a maximum of 10%.
4. The prices can also be changed by MGS if the guest subsequently requests changes to the number of apartments booked, the services provided by MGS or the length of stay, if MGS agrees to this.
5. Invoices from MGS without a due date are payable immediately upon receipt of the invoice without deductions. MGS is entitled to declare accrued claims due at any time and to demand immediate payment. In the event of late payment, MGS is entitled to charge the applicable statutory default interest of currently 8% or, in the case of legal transactions in which the consumer is involved, 5% above the base interest rate. MGS reserves the right to prove greater damage.
6. MGS is entitled to demand an appropriate advance payment or security upon conclusion of the contract or thereafter. The amount of the advance payment and the payment dates can be agreed in writing in the contract. In this case, MGS is entitled to satisfy itself with regard to the agreed remuneration from the security deposit if payment deadlines are not met, e.g. by collecting the agreed remuneration by credit card.
7. The customer can only set off, withhold or reduce a claim from MGS with an undisputed or legally binding claim.
8. If the guest has the opportunity to specify non-contractual special requests during the booking process, these are always non-binding in nature. The guest has no right to the room or apartment meeting these non-contractual special requests unless there is an express confirmation to this effect in text form.
9. Remuneration using the deposited payment method will be made no later than the arrival date. The arrival date is 6:00 p.m. on the booked arrival day. For long-term stays of more than 45 days, only the amount for the first month will be reimbursed immediately. The amount for the following month will be paid no later than three days after the end of the previous month. MGS is entitled to declare accrued claims due at any time and to demand immediate payment.

§4. Ban on smoking, bringing animals, having visitors

1. The MGS rooms and apartments are non-smoking apartments and rooms. Smoking is therefore prohibited in the apartments and rooms. This also applies to e-cigarettes. In the event of a violation, MGS is entitled to terminate the agreement without notice. In addition, if necessary, MGS can charge a special final cleaning fee of at least 250 EUR if there is a smell of nicotine in the apartment. MGS reserves the right to charge the guest for any costs incurred in connection with the activation of a fire alarm system that may be present as a result of a violation of this smoking ban.
2. Keeping animals in the rented rooms and apartments of MGS is not permitted. IV, paragraph 1 sentences 3 and 4 apply accordingly.
3. The guest is obliged to use the apartment or room only within the contractually agreed accomodation, in particular only by the people intended there. The overnight stay of visitors requires the prior consent of MGS in text form. In the event of a violation, MGS is entitled to charge the guest a flat rate surcharge of EUR 100.00 per night per visitor and to terminate the accommodation contract without notice.

§5. Cancellation of the customer, not used MGS services (No-show)

1. A withdrawal by the customer from the contract concluded with MGS requires the written consent of MGS. If this does not occur, the agreed price from the contract must be paid even if the guest does not use the contractual services. This does not apply in the event of a breach of MGS’s obligation to take the rights, legal interests and interests of the guest into account if the guest can no longer be expected to adhere to the contract or has another legal or contractual right of withdrawal.
2. If a date for free withdrawal from the contract has been agreed in writing between MGS and the customer, the guest can withdraw from the contract until then without triggering claims for payment and damages from MGS. The right of withdrawal expires if the guest does not exercise his right of withdrawal in writing to MGS by the agreed date, unless there is a case of withdrawal by the guest in accordance with Section IV No. 1 Sentence 3.
3. In the case of rooms or apartments not used by the customer, MGS must credit the income from renting the rooms or apartments to another person as well as the expenses saved.
4. MGS is free to demand the contractually agreed remuneration and to make a flat rate deduction for saved expenses. In this case, the customer is obliged to pay at least 90% of the contractually agreed price for the rental of the rooms or apartments. However, the customer is permitted to prove that MGS suffered no damage or significantly less damage.
5. MGS works with two rates with different cancellation conditions:
If no explicit regulation was made when booking, our non-refundable prepayment rate applies.
Non-refundable prepayment rate: The price of the stay must be paid in advance when booking; the cancellation fee is 100% of the price of the entire stay.
Flexible rate: If a flexible rate is explicitly booked, the guest can cancel the booking free of charge up to 14 days before arrival. Cancellations after this deadline will be charged 80% of the price of the total stay.

§6. MGS resignation

1. If the customer’s right of withdrawal free of charge within a certain period of time has been agreed in writing, MGS is entitled to withdraw from the contract during this period if there are inquiries from other guests about the contractually booked rooms and the guest, upon request from MGS, exercises his right to do so Resignation not waived.
2. If an agreed advance payment or one requested above in accordance with point III No. 5 and/or 6 is not made even after a reasonable grace period set by MGS has expired, MGS is also entitled to withdraw from the contract.
3. Furthermore, MGS is entitled to withdraw from the contract extraordinarily for objectively justified reasons, for example if
– Force majeure or other circumstances for which MGS is not responsible make fulfillment of the contract impossible;
– Rooms or apartments are booked using misleading or false information about essential facts, e.g. the identity of the guest or the purpose;
– The MGS has reasonable grounds to believe that the use of the accommodation service can endanger the smooth business operations, the security or the public reputation of the MGS, without this being attributable to the control and organizational area of ​​the MGS.
– There is a violation of Clause I No. 2 mentioned above.
4. MGS must immediately inform the customer and the guest of the exercise of the right of withdrawal/termination.
5. If MGS withdraws with justification, the customer and guest are not entitled to compensation.

_The text is interrupted by materials data_
- - -
[1]
# MgV3SnO8
Computed X-ray diffraction stick pattern, Cu Kα, 1.54184 Å. Input: the GGA+U geometry in the Materials Project.
Intensities are scaled so that the largest is 100.

Structural model:
```
MgV3SnO8
1.0
6.282 -1.979 0.000
6.282 1.979 0.000
-1.963 0.000 6.789
Mg V Sn O
1 3 1 8
direct
0.000 0.000 0.000
0.577 0.577 0.319
0.773 0.773 0.683
0.864 0.864 0.264
0.469 0.469 0.676
0.029 0.029 0.289
0.309 0.309 0.703
0.407 0.407 0.350
0.535 0.535 0.991
0.613 0.613 0.612
0.741 0.741 0.378
0.826 0.826 0.012
0.945 0.945 0.701
```

Main lines, low angle first (5 to 70 degrees two-theta):
d 6.789, intensity 62.5
d 6.035, intensity 100.0
d 3.760, intensity 68.9
d 3.393, intensity 49.9
d 3.175, intensity 54.9
d 3.095, intensity 41.1
d 2.263, intensity 44.1
d 1.979, intensity 47.4

---

[2]
# MgV3SnO8
Computed X-ray diffraction stick pattern, Cu Kα, 1.54184 Å. Input: the GGA+U geometry in the Materials Project.
Intensities are scaled so that the largest is 100.

Structural model:
```
MgV3SnO8
1.0
4.005 0.000 0.000
-1.977 6.383 0.000
-0.005 -2.080 6.510
Mg V Sn O
1 3 1 8
direct
0.000 0.000 0.000
0.474 0.958 0.702
0.574 0.155 0.340
0.707 0.559 0.703
0.867 0.741 0.303
0.034 0.077 0.305
0.310 0.623 0.699
0.413 0.834 0.378
0.534 0.071 0.006
0.602 0.249 0.647
0.730 0.475 0.395
0.837 0.675 0.998
0.938 0.888 0.683
```

Main lines, low angle first (5 to 70 degrees two-theta):
d 6.510, intensity 61.1
d 6.080, intensity 99.8
d 3.804, intensity 100.0
d 3.255, intensity 38.6
d 3.157, intensity 54.8
d 3.146, intensity 43.0
d 2.170, intensity 44.2
d 2.002, intensity 45.3

---

[3]
# MgV4SnO12
Computed X-ray diffraction stick pattern, Cu Kα, 1.54184 Å. Input: the GGA+U geometry in the Materials Project.
Intensities are scaled so that the largest is 100.

Structural model:
```
MgV4SnO12
1.0
5.476 -4.599 0.000
5.476 4.599 0.000
-2.578 0.000 5.276
Mg V Sn O
1 4 1 12
direct
0.000 0.000 0.000
0.045 0.362 0.435
0.457 0.135 0.068
0.638 0.955 0.565
0.865 0.543 0.932
0.351 0.649 0.000
0.058 0.714 0.036
0.118 0.121 0.395
0.237 0.518 0.613
0.286 0.942 0.964
0.360 0.366 0.026
0.482 0.763 0.387
0.575 0.134 0.401
0.634 0.640 0.974
0.655 0.050 0.901
0.866 0.425 0.599
0.879 0.882 0.605
0.950 0.345 0.099
```

Main lines, low angle first (5 to 70 degrees two-theta):
d 5.276, intensity 35.7
d 4.929, intensity 36.0
d 4.800, intensity 33.5
d 4.599, intensity 30.7
d 3.652, intensity 33.7
d 3.321, intensity 100.0
d 3.090, intensity 49.6
d 2.638, intensity 34.9

=====

No. 1
SrLaB12: simulated powder diffraction line list (Cu Kα), based on a cell relaxed with PBE.
Lines closer than 0.1° are merged.

Structure:
Cell lengths 5.901, 5.901, 5.901 Å; angles 60.00, 60.00, 60.00 degrees
Fractional positions:
Sr 0.000 0.000 0.000
La 0.500 0.500 0.500
B 0.101 0.101 0.399
B 0.101 0.399 0.101
B 0.101 0.399 0.399
B 0.399 0.101 0.101
B 0.399 0.101 0.399
B 0.399 0.399 0.101
B 0.601 0.601 0.899
B 0.601 0.899 0.601
B 0.601 0.899 0.899
B 0.899 0.601 0.601
B 0.899 0.601 0.899
B 0.899 0.899 0.601
- - -

§7. Accommodation provision, handing over and return

Misplaced data records
Structure and theoretical powder XRD pattern of La3B6Ru8 (a structure optimized by DFT (PBE); Cu Kα X-rays).

Peak list (10 most intense, 2θ = 15–90°, in order of rising 2θ)
2θ (°)  Rel. int.  hkl
31.37  61  1 1 5
35.64  43  0 2 6
36.55  51  0 4 0
36.96  100  2 2 0
40.93  36  1 3 5
44.76  27  2 0 6
48.63  14  2 2 6
59.11  20  2 4 6
66.06  21  2 6 0
75.73  18  2 2 12

```
data_La3B6Ru8
_symmetry_space_group_name_H-M 'F m m m'
_symmetry_Int_Tables_number 69
_symmetry_space_group_name_Hall '-F 2 2'
_cell_length_a 5.5971
_cell_length_b 9.8337
_cell_length_c 17.6002
_cell_angle_alpha 90.00
_cell_angle_beta 90.00
_cell_angle_gamma 90.00
loop_
_atom_site_label
_atom_site_type_symbol
_atom_site_fract_x
_atom_site_fract_y
_atom_site_fract_z
_atom_site_occupancy
La1 La 0.0000 0.0000 0.0000 1
La2 La 0.0000 0.0000 0.1815 1
B1 B 0.0000 0.1640 0.3290 1
B2 B 0.0000 0.1700 0.5000 1
Ru1 Ru 0.0000 0.0000 0.4134 1
Ru2 Ru 0.2500 0.2500 0.0859 1
Ru3 Ru 0.2500 0.2500 0.2500 1
```

Structure and theoretical powder XRD pattern of LaBS3 (a structure optimized by DFT (PBE); Cu Kα X-rays).

Peak list (10 most intense, 2θ = 15–90°, in order of rising 2θ)
2θ (°)  Rel. int.  hkl
17.40  55  1 0 0
19.60  100  0 1 1
22.61  85  1 1 0
26.77  98  0 0 2
33.30  78  2 0 -1
33.93  55  1 2 0
34.34  61  1 2 -1
38.73  63  1 2 1
39.63  73  1 1 2
39.82  78  1 2 -2

```
data_LaBS3
_symmetry_space_group_name_H-M 'P 1 21/m 1'
_symmetry_Int_Tables_number 11
_symmetry_space_group_name_Hall '-P 2yb'
_cell_length_a 5.3907
_cell_length_b 6.1781
_cell_length_c 7.0436
_cell_angle_alpha 90.00
_cell_angle_beta 108.97
_cell_angle_gamma 90.00
loop_
_atom_site_label
_atom_site_type_symbol
_atom_site_fract_x
_atom_site_fract_y
_atom_site_fract_z
_atom_site_occupancy
La1 La 0.1497 0.2500 0.2942 1
B1 B 0.2132 0.2500 0.7586 1
S1 S 0.0659 0.7500 0.1505 1
S2 S 0.3178 0.5055 0.6854 1
```

Structure and theoretical powder XRD pattern of LaSiB2 (a structure optimized by DFT (PBE); Cu Kα X-rays).

Peak list (10 most intense, 2θ = 15–90°, in order of rising 2θ)
2θ (°)  Rel. int.  hkl
21.37  43  1 0 1
26.91  31  0 0 4
28.71  35  1 0 3
31.91  100  1 1 2
39.75  14  1 0 5
41.24  24  2 0 0
46.91  18  2 1 1
49.93  28  2 0 4
50.77  27  1 1 6
69.34  21  3 1 2

```
data_LaSiB2
_symmetry_space_group_name_H-M 'I 41/a m d'
_symmetry_Int_Tables_number 141
_cell_length_a 4.3783
_cell_length_b 4.3783
_cell_length_c 13.2545
_cell_angle_alpha 90.00
_cell_angle_beta 90.00
_cell_angle_gamma 90.00
loop_
_symmetry_equiv_pos_as_xyz
'x,y,z'
'-x,-y,-z'
'-y+1/4,x+3/4,z+1/4'
'y+1/4,-x+3/4,-z+1/4'
'-x+1/2,-y,z+1/2'
'x+1/2,y,-z+1/2'
'y+1/4,-x+1/4,z+3/4'
'-y+1/4,x+1/4,-z+3/4'
'x,-y,-z'
'-x,y,z'
'-y+1/4,-x+1/4,-z+3/4'
'y+1/4,x+1/4,z+3/4'
'-x+1/2,y,-z+1/2'
'x+1/2,-y,z+1/2'
'y+1/4,x+3/4,-z+1/4'
'-y+1/4,-x+3/4,z+1/4'
'x+1/2,y+1/2,z+1/2'
'-x+1/2,-y+1/2,-z+1/2'
'-y+3/4,x+1/4,z+3/4'
'y+3/4,-x+1/4,-z+3/4'
'-x,-y+1/2,z'
'x,y+1/2,-z'
'y+3/4,-x+3/4,z+1/4'
'-y+3/4,x+3/4,-z+1/4'
'x+1/2,-y+1/2,-z+1/2'
'-x+1/2,y+1/2,z+1/2'
'-y+3/4,-x+3/4,-z+1/4'

1. The guest does not acquire any right to the provision of specific apartments or rooms.
2. Booked rooms or apartments are available to the guest from 3 p.m. on the agreed arrival day. The guest has no right to earlier provision.
3. On the agreed departure day, the rooms or apartments must be vacated and made available to MGS by 10 a.m. at the latest. Afterwards, due to the late vacating of the apartment, MGS can charge 50% of the full accommodation price (list price) for use beyond the contract until 6 p.m., and 100% from 6 p.m. This does not constitute the guest’s contractual claims. He is free to prove that MGS has no claim to a usage fee or has a significantly lower claim. If the MGS or the category is fully booked and the room or apartment is not vacated by 12:00 p.m., MGS is free to vacate the room or apartment itself, taking care with the customer’s belongings.
4. If a handed over key or key card is lost or not handed in upon departure, a fee of 40.00 euros will be charged.
5. The apartments must be returned in the condition in which the guest found them. The guest must remove all of their personal belongings from the apartments and dispose of any food or garbage they have brought with them. In the event of a violation, MGS is entitled to charge the guest increased cleaning costs based on effort, but at least a cleaning fee of EUR 25.00.
6. MGS apartments may be booked by consumers for a maximum of 182 days.

§8. Liability of MGS

1. MGS is liable for its obligations under the contract with the care of a prudent businessman. The guest’s claims for damages are excluded. Are excluded from this:
– Damage resulting from injury to life, body or health if MGS is responsible for the breach of duty.
– Other damages that are based on an intentional or grossly negligent breach of duty by MGS and damages that are based on an intentional or negligent breach of MGS’ typical contractual obligations.
A breach of duty by MGS is equivalent to that of a legal representative or fulfillment.
If disruptions or defects occur in MGS’s services, MGS will endeavor to remedy the situation upon becoming aware of it or upon immediate notification from the customer. The customer is obliged to do what is reasonable for him to remedy the disruption and keep any possible damage to a minimum.
2. MGS is liable to the guest for items brought in in accordance with the statutory provisions. MGS recommends using the central building safe. If the guest wishes to bring in money, securities and valuables with a value of more than 800 euros or other items with a value of more than 3,500 euros, this requires a separate storage agreement with MGS.
The liability claims expire if the guest does not report the loss, destruction or damage to the MGS immediately after becoming aware of it (§ 703 BGB). For further liability of MGS, number 1 sentences 2 to 4 above apply accordingly.
3. If the guest is provided with a bicycle or car parking lot, garage, an underground car park or another room, even for a fee, this does not result in a storage contract being concluded. MGS is not liable for loss or damage to motor vehicles and bicycles parked or maneuvered on the property and their contents, except in cases of intent or gross negligence. Number 1 sentences 2 to 4 above apply accordingly.
4. Messages, mail and shipments of goods for guests are handled with care. MGS takes over the delivery, storage and – if requested – the forwarding of the same for a fee, number 1 sentences 2 to 4 above apply accordingly. This does not result in a custody agreement.
5. The customer is liable for all damage that the guest himself, his employees or his visitors have culpably caused in the accommodation establishment or to the MGS inventory.
6. No liability is accepted for lost property. They will only be returned upon request for a fee. MGS undertakes to store data for 3 months.
7. If MGS procures external services, technical or other equipment from third person for the customer, the customer acts in the name and on behalf of the guest; The guest is liable for the careful treatment and proper return of the facility and releases MGS from all third-party claims arising from the provision of this facility.

§9. Technical setup and connections

1. The use of the guest’s own electrical devices using the apartment’s power network is at the guest’s own risk. Any malfunctions or damage to the apartment’s technical systems caused by the use of these devices will be borne by the guest, unless MGS is not responsible for them.
2. The guest is prohibited from engaging in illegal file sharing via the Internet connection provided by MGS. This includes any upload or download of copyrighted data in any form. The guest is liable for all damages incurred by MGS and/or the rights holder as a result of the guest’s violation of the law.

§10. MGS access

MGS is entitled to enter the rented room or apartment for cleaning and linen changes and, after consultation with the guest, to carry out repairs, read electricity and water meters and inspect the property as part of the subsequent rental. In the event of imminent danger, MGS is also entitled to enter the room or apartment without consulting the guest.

§11. Final provision

1. The contract language is German.
2. Changes and additions to the contract, the acceptance of the application or the general terms and conditions for accommodation must be in writing. This also applies to the cancellation of this written form clause. Unilateral changes or additions by the guest or booker are invalid.
3. The place of fulfillment and payment is the headquarters of MGS.
4. The exclusive place of jurisdiction for commercial transactions – including for check and bill of exchange disputes – is the registered office of the accommodation establishment. If a contractual partner meets the requirements of Section 38 Paragraph 2 ZPO and does not have a general place of jurisdiction in Germany, the place of jurisdiction is the registered office of MGS.
5. German law applies. The application of the UN Convention on Contracts for the International Sale of Goods and the conflict of laws is excluded.
6. Should individual provisions of these general terms and conditions for accommodation be or become ineffective or void, this will not affect the effectiveness of the remaining provisions. In addition, the statutory provisions apply.